How Electrofusion Welding Should Be Done.

How Electrofusion Welding Should Be Done.

Great convenience and safety have been developed in welding and joining processes with electro fusion welding . Since it is done automatically with the source device, human error is prevented in terms of time and quality. For the temperature measured around the pipe while welding, the recommendations of the PE pipe manufacturers and Electrofusion welding machine manufacturers should be considered. Some of the recommended ranges for the ambient temperature to be welded according to the catalog information of the manufacturers are as follows;
• -5 to + 35 °C
• -10 to + 45 °C
• +5 to + 50 °C
• -10 to +50 °C Although
welding parameters are uploaded to the machine via barcode, additional
Welding can be done by manually loading the welding parameters written on the part to the welding machine.

Advantages of EF Merge Technique

# 1
The following is a DFT calculation (GGA+U) of crystalline Sr3ZnCoO6 at its relaxed geometry.

```
Sr3ZnCoO6
1.0
1.054 3.394 5.540
4.723 6.089 -5.445
-7.837 5.539 -1.568
Sr Zn Co O
12 4 4 24
direct
0.616 0.568 0.682 Sr
0.614 0.067 0.183 Sr
0.882 0.430 0.184 Sr
0.883 0.929 0.682 Sr
0.253 0.751 0.131 Sr
0.254 0.254 0.638 Sr
0.118 0.570 0.816 Sr
0.117 0.071 0.318 Sr
0.747 0.249 0.869 Sr
0.746 0.746 0.362 Sr
0.384 0.432 0.318 Sr
0.386 0.933 0.817 Sr
0.252 0.252 0.010 Zn
0.255 0.744 0.494 Zn
0.748 0.748 0.990 Zn
0.745 0.256 0.506 Zn
0.500 0.000 0.500 Co
0.000 0.000 0.000 Co
0.500 0.500 0.000 Co
0.000 0.500 0.500 Co
0.531 0.314 0.106 O
0.529 0.818 0.599 O
0.225 0.491 0.070 O
0.236 0.996 0.569 O
0.393 0.373 0.843 O
0.390 0.871 0.337 O
0.031 0.800 0.906 O
0.033 0.303 0.414 O
0.920 0.393 0.669 O
0.927 0.900 0.162 O
0.711 0.476 0.443 O
0.716 0.974 0.945 O
0.469 0.686 0.894 O
0.471 0.182 0.401 O
0.775 0.509 0.930 O
0.764 0.004 0.431 O
0.607 0.627 0.157 O
0.610 0.129 0.663 O
0.969 0.200 0.094 O
0.967 0.697 0.586 O
0.080 0.607 0.331 O
0.073 0.100 0.838 O
0.289 0.524 0.557 O
0.284 0.026 0.055 O
```

Energy above the lowest structure with this stoichiometry = 62.4 meV per atom

# 2
The following is a DFT calculation (GGA+U) of crystalline Sr3ZnCoO6 at its relaxed geometry.

```
Sr3ZnCoO6
1.0
-3.978 -5.145 1.642
2.722 0.231 6.103
-9.348 9.033 3.099
Sr Zn Co O
12 4 4 24
direct
0.614 0.886 0.125 Sr
0.617 0.883 0.625 Sr
0.885 0.253 0.310 Sr
0.885 0.249 0.806 Sr
0.252 0.615 0.444 Sr
0.247 0.615 0.940 Sr
0.114 0.753 0.192 Sr
0.116 0.745 0.692 Sr
0.747 0.386 0.058 Sr
0.755 0.384 0.558 Sr
0.386 0.117 0.378 Sr
0.383 0.114 0.873 Sr
0.246 0.254 0.125 Zn
0.251 0.249 0.625 Zn
0.749 0.746 0.378 Zn
0.754 0.751 0.872 Zn
0.502 0.499 0.750 Co
0.002 0.998 0.500 Co
0.498 0.502 0.250 Co
0.998 0.002 0.000 Co
0.539 0.227 0.208 O
0.543 0.220 0.706 O
0.223 0.417 0.269 O
0.212 0.405 0.770 O
0.410 0.544 0.104 O
0.418 0.541 0.615 O
0.045 0.915 0.365 O
0.042 0.912 0.856 O
0.912 0.725 0.020 O
0.912 0.712 0.520 O
0.721 0.038 0.454 O
0.723 0.043 0.958 O
0.456 0.775 0.292 O
0.461 0.778 0.795 O
0.776 0.590 0.230 O
0.788 0.588 0.730 O
0.587 0.459 0.395 O
0.584 0.456 0.886 O
0.955 0.090 0.145 O
0.958 0.082 0.634 O
0.094 0.287 0.480 O
0.082 0.276 0.980 O
0.274 0.963 0.043 O
0.281 0.957 0.545 O
```

Energy above the lowest structure with this stoichiometry = 0.0 meV per atom

# 3
The following is a DFT calculation (GGA+U) of crystalline Ta2Co4O9 at its relaxed geometry.

```
Ta2Co4O9
1.0
5.198 0.000 0.000
0.001 8.942 0.000
0.002 0.001 14.564
Ta Co O
8 16 36
direct
0.000 0.024 0.855 Ta
0.998 0.977 0.645 Ta
0.501 0.475 0.354 Ta
0.499 0.525 0.146 Ta
0.499 0.524 0.645 Ta
0.500 0.476 0.855 Ta
0.999 0.025 0.355 Ta
0.999 0.974 0.146 Ta
0.000 0.336 0.692 Co
0.000 0.664 0.808 Co
0.996 0.663 0.501 Co
0.996 0.338 0.998 Co
0.503 0.163 0.498 Co
0.503 0.837 0.002 Co
0.501 0.835 0.312 Co
0.504 0.165 0.187 Co
0.500 0.836 0.808 Co
0.500 0.164 0.691 Co
0.497 0.162 0.999 Co
0.496 0.838 0.502 Co

• No shrinkage in pipe inner diameter.
• Flexibility, light weight and low cost of the machinery-equipment used.
• High welding speed.
• The EF welding process is fully automatic and therefore
requires minimal operator skill.
• High compressive strength in the weld area.
Disadvantage of EF Joining Technique In
the electrofusion welding process, pipes made of the same raw material can be welded. Melt flow rate for HDPE-electrofusion bonding is 0.3….1.7 gr/10
min. (It is l90°C/5 kgj.) The melt flow rates of the pipes to be welded and the sleeve must be between these values. Pipes with the same melt flow rate
can be welded.
-The area to be welded must be protected in such a way that it will not be affected by bad weather conditions. (For example: Snow, rain, wind, effective sun rays
, etc.)


Preparing the PE Pipe
for Welding In the electrofusion welding method, the welding is done with the heating resistors in the sleeve part. After the pipes are placed in the sleeve, the ends of the welding machine are connected to the resistance (copper wire) ends of the sleeve in the hole, and the resistances are heated with current.
As the wall thickness of the sleeve is greater than the wall thickness of the pipe as a result of the heating of the resistances , the temperature of the tube wall becomes higher than the temperature of the sleeve wall. Due to this temperature difference,
pressure builds up inside the pipe. Thanks to the pressure on the pipe and the
pressure created in the pipe, the welding process takes place.

Melting of the Wire in the Connector
Coupling Welding
1- The ends of the pipes to be welded are cut straight and smooth, and the entrance limit is marked on the pipe by placing them inside the fitting to be welded up to the resistance limit.

2- The surface of the pipe to be welded is cleaned and the surface
oxidation is taken by scraping before welding.

The surfaces to be welded during the welding process must be clean. Therefore,
the surface of the PE pipe to be welded should be scraped and cleaned with solvent.
The purpose of scraping is to remove any oxidized layer
that may have formed on the pipe surface.
Conditions that will adversely affect the electrofusion quality should not occur on the pipe, such as obvious scraper mouth marks, deep scratches, an extremely rough and saw-tooth-like surface, deep scraping pits, insufficient scraping for hard-to-reach areas. During scraping
, care should be taken that the scraper mouth does not make more than 200 angles with the pipe surface, and that it does not create an impact on the pipe. Scraping depth 0.2-0.7 mm depending on oxide layer or dirt. between.
It should never touch the surface of the scraped pipe. In order for the scraping to be the desired depth and homogeneity, lines perpendicular to the scraping direction and parallel to each other should be drawn on the pipe. In this way, both the welder makes sure that he is doing it, and the
personnel inspecting the welder…
3- The fittings to be welded are removed from their packaging at the welding stage. After scraping, the scraped areas and the sleeve (inner surface)
are cleaned with solvent with a colorless and fiber-free cloth. After the cleaning process, these solvent areas should not be touched by hand.

4- The pipe to be welded is placed inside the connection piece to be welded. It must be ensured that the marked part on the pipe remains at the edge of the fitting
. There should be a dimension line on the pipe even when the fittings are placed up to the limit of resistance.

5- Electrofusion welding ends are fixed together with the pipe as straight
after checking them upwards. Welding machine sockets are placed on the welding ends of the fitting and made ready for welding. In the welding process, a positioner must be used in order to weld properly. The positioner should be left until the welding zone cools down.

6- By scanning the barcode on the cuff with a barcode reader pen, the manufacturer’s data is read and when the confirmation signal (coming from the electro fusion welding machine) is heard, the barcode reader pen is inserted or manual welding parameters are entered. After the confirmation signal, fusion is given by pressing the “start” button of the welding machine. In the welding process, the fusion time (taking into account the air temperature) is calculated automatically. The temperature measuring probe is in the welding machine. In general, welding machines show the welding time and voltage on the screen and automatically terminate the welding process and give an end signal.

If the fusion process is interrupted during welding, the welding process is not continued, the cooling time of the material is waited. After the electrofusion process ends and the confirmation signals are heard, the
welding is completed by pressing the record button, the tips are removed and the machine is turned off. No contact is made to the welding area during the welding period, the manufacturer’s information on the barcode should be used for the cooling time of the welding; The cooling time varies according to the air temperature.

Saddle Welding
• In cases where the weather is rainy, the welding place should be covered with tarpaulin, tent, etc. Welding should be done by covering from precipitation and using personal protectors.
• The appropriate connection piece (saddle-support) to be welded is selected, its physical availability is examined (date, damage, barcode, resistance value, manufacturing defect,
• The scraping area is marked by placing the saddle on the pipe.
• Perpendicular to the excavation direction, parallel lines are drawn within the scraping boundaries. Approx. 0.2 -0.7 mm using scraper. thickness engraved.
• Marked area approx. 0.2 -0.7 mm using scraper. thickness engraved.

• The scraped area on the distribution line pipe and the lower part where the resistances are on the saddle-support are cleaned by using a lint-free white piece of wiping cloth and solution, and it is
ensured that nothing touches those areas.
• It is ensured that the connection piece fits tightly and properly on the pipe and that the cleaned surfaces are kissed.
• The ends of the electrofusion welding machine are attached to the socket sockets on the saddle-support.
• Resistance resistance values
​​are examined by looking at the screen of the electrofusion welding machine.
• By scanning the barcode with a barcode reader pen, the manufacturer’s data
is read.
• By reviewing the environmental safety factors for the last time, fusion is started by pressing the “start” button and the fusion time on the machine screen
is monitored visually from a safe distance to the connection piece.
• After the electrofusion process is completed and the confirmation signals are heard, the
welding is completed by pressing the record button. • If it is determined that the fusion has been completed under appropriate conditions, the cooling time is calculated as much as the time
written on the machine or read on the barcode (for example: 15 minutes) and written on the connection piece. Precautions are taken to prevent the
pipe and connection piece from moving during welding and cooling, and the welding area is protected against external factors.

Electrofusion Welding Defects

Electrofusion welding faults are the results of welding operations performed without complying with the manufacturer’s data and welding rules; Some of the welding processes performed
are revealed in leak tests. Some welding faults may occur over time with the commissioning of the lines.
Documented worker factor
Knowledge should not allow unskilled persons to weld. Welding by unauthorized persons who do not have a certificate from the Accredited Institution is one
of the causes of faulty welding.

Ambient temperature

**Misplaced data records:**
<<<
# 1
La3Sn13Rh4 after structural relaxation. Source: Materials Project, functional PBE-GGA.

Cell and atoms, written as extended XYZ:
```
160
Lattice="-9.8743 9.8743 9.8743 9.8743 -9.8743 9.8743 9.8743 9.8743 -9.8743" Properties=species:S:1:pos:R:3 pbc="T T T"
La 9.8764 7.4057 -4.9351
La 4.9351 0.0021 2.4686
La 9.8627 -2.4686 4.9487
La 14.8230 0.0116 2.4686
La 2.4686 4.9351 0.0021
La 7.4057 4.9351 -0.0021
La 12.3429 4.9392 -0.0021
La 7.4057 -4.9351 9.8764
La 4.9487 9.8627 -2.4686
La 9.8627 2.4686 4.9256
La 0.0021 2.4686 4.9351
La 4.9351 -0.0021 7.4057
La 4.9256 9.8627 2.4686
La 9.8859 7.4057 4.9256
La -0.0021 7.4057 4.9351
La 4.9392 -0.0021 12.3429
La 2.4686 4.9256 9.8627
La -2.4686 4.9487 9.8627
La 7.4057 4.9256 9.8859
La 2.4686 14.8230 0.0116
La -4.9351 9.8764 7.4057
La -0.0021 12.3429 4.9392
La 4.9256 9.8859 7.4057
La 0.0116 2.4686 14.8230
Sn 4.9546 4.9197 -4.9197
Sn 9.8568 0.0175 -0.0175
Sn 0.0175 0.0175 0.0175
Sn 4.9197 -4.9197 4.9546
Sn 12.7071 1.4639 0.0004
Sn 7.7699 -4.9376 6.4010
Sn 16.9158 1.4639 -0.0004
Sn 11.9786 -4.9367 6.4010
Sn 7.9645 4.9322 -3.4228
Sn 6.8469 1.5144 -0.0049
Sn 3.0273 1.5144 0.0049
Sn 4.9420 3.4228 -1.9098
Sn 9.8694 3.0273 -1.5144
Sn 11.7841 4.9420 -3.4228
Sn 14.8091 3.3804 -1.8049
Sn 9.8766 -6.7421 8.3175
Sn 6.4010 7.7699 -4.9376
Sn 8.4104 -0.0004 2.8328
Sn 1.5144 0.0049 3.0273
Sn 3.4228 -1.9098 4.9420
Sn 11.4019 -0.0040 3.0441
Sn 13.2838 -1.8930 4.9332
Sn 8.3175 9.8766 -6.7421
Sn 6.4939 -1.8049 4.9395
Sn 0.0049 3.0273 1.5144
Sn 4.9322 -3.4228 7.9645
Sn 4.9395 6.4939 -1.8049
Sn 9.8720 3.1322 1.5568
Sn 14.8137 3.3804 1.8049
Sn 9.8720 -3.1322 8.3175
Sn 4.9322 3.4228 1.9098
Sn 9.8792 6.8469 -1.5144
Sn 8.3175 9.8720 -3.1322
Sn 6.4939 1.8049 4.9348
Sn 1.5144 -0.0049 6.8469
Sn 3.4228 1.9098 4.9322
Sn 11.4019 0.0040 6.8302
Sn 13.2838 1.8930 4.9411
Sn 6.4010 11.9786 -4.9367
Sn 8.4104 0.0004 7.0415
Sn 4.9348 6.4939 1.8049
Sn 9.8766 6.7421 1.5568
Sn -0.0049 6.8469 1.5144
Sn 1.9098 4.9322 3.4228
Sn 3.0273 -1.5144 9.8694
Sn 4.9420 -3.4228 11.7841
Sn -1.9098 4.9420 3.4228
Sn 6.8469 -1.5144 9.8792
Sn 2.8328 8.4104 -0.0004
Sn 7.0415 8.4104 0.0004
Sn 7.7699 4.9376 3.4732
Sn 11.9786 4.9367 3.4732
Sn 4.9197 4.9197 4.9197
Sn 0.0175 -0.0175 9.8568
Sn -4.9197 4.9546 4.9197
Sn -0.0175 9.8568 0.0175
Sn -0.0004 2.8328 8.4104
Sn 4.9376 3.4732 7.7699
Sn 3.0441 11.4019 -0.0040
Sn 4.9332 13.2838 -1.8930
Sn 9.8782 3.0441 8.3467
Sn 11.7673 4.9332 6.4648
Sn 6.8302 11.4019 0.0040
Sn 7.9813 4.9411 6.4648
Sn -1.8049 4.9395 6.4939
Sn 1.8049 4.9348 6.4939
Sn 3.1322 1.5568 9.8720
Sn 6.7421 1.5568 9.8766
Sn 3.4732 7.7699 4.9376
Sn 1.4639 0.0004 12.7071
Sn -3.4228 7.9645 4.9322
Sn -1.5144 9.8694 3.0273
Sn 8.3467 9.8782 3.0441
Sn 6.4648 7.9813 4.9411
Sn 1.5568 9.8720 3.1322
Sn 3.3804 -1.8049 14.8091
Sn 0.0004 12.7071 1.4639
Sn -4.9376 6.4010 7.7699
Sn -0.0040 3.0441 11.4019
Sn 4.9411 6.4648 7.9813
Sn 4.9411 13.2838 1.8930
Sn 9.8703 6.8302 8.3467
Sn 0.0004 7.0415 8.4104
Sn 4.9367 3.4732 11.9786
Sn 1.5568 9.8766 6.7421
Sn 3.3804 1.8049 14.8137
>>>

The low or high ambient temperature around the pipe is a factor that reduces the welding quality and life. While selecting the welding time from the welding parameters, it is selected
considering the outdoor temperature. The temperature of the pipe and fitting is considered the same as the outdoor temperature and welding times are determined accordingly.
The welding area should be protected from cold environment, rain and snow. Welding process in weathers outside the ambient temperature recommended by the manufacturer.
If necessary, precautions should be taken for welding, welding should be done by setting up a welding tent. Continuing an unfinished welding process without waiting for the required cooling time. In the electrofusion welding process, the process may be interrupted due to reasons such as power cut, connection piece heads coming off. In this case
, what needs to be done is to wait for the connection piece to cool down and re-make the weld as if it were a new weld in the required time. Exposure of welding area to mechanical stress Pipe and fitting should not be subjected to any load during welding and cooling. Since the pipes come in coils, they must be straightened with the help of a positioner before welding.

The pipe and fitting must be fixed on the positioner.
Since the cooling period is included in the welding process, the positioner should not be removed until the cooling period is completed . Precautions should be taken for undesirable situations that will cause mechanical stress in the welding area. Environmental safety should be taken in the welding area
, the collapse of the duct should be taken into account, and pipe filling should not be performed until the cooling is completed.

Inappropriate Positioning

Inadequate cleaning of the places to be welded In polyethylene pipe welding, it should be remembered that the quality of the welding will decrease if the cleaning of the melting areas is not done properly. Cleaning of melting areas with scraping depth and solvent (solvent) should be done according to the rule. Not straightening pipes before welding, using oval pipes
PE pipes can be oval shaped. This may be due to manufacturing or the cutting process. This type of pipes can be straightened before welding with the help of a vice or choke apparatus. If welding is done without correction, the manufacturing will be faulty. In order for the welding process to be complete, the material between the inner surface of the sleeve and the outer surface of the pipe must melt and create pressure, but the welding will not be completed because the pressure to form a hollow fit due to ovality does not rise enough. The pipe made using the oval pipe
was separated while it was still in the cutting phase.

PE Pipe Opening between PE pipe mouths Opening between the mouths of the
pipe butts causes the melt to flow into these parts during the welding process.
It causes a decrease in weld strength . However, depending on the pipe diameter and wall thickness, there are acceptable,
curved cut and clearance values ​​between the two pipes.

Spacing Between the PE Pipe Mouths Excessive

or excessive insertion of the PE pipes into the fitting, excessive or less driving of the coupler in the connections made with the help of the coupler, causes the slip of the part that connects the two parts in the coupler and is manufactured without resistance. As a result of this faulty operation, the melt may flow into the pipe.

'''
This record from the Materials Project describes an optimized crystal structure of NaAlCl4. The functional is PBE-GGA.

a b c (Å): 6.2805 10.0326 10.6134
angles (deg): 90.00 90.00 90.00
With the nearest neighbours (Å) after each atom.
Positions (direct):
Cl 0.2987 0.7386 0.2167  1 Al 2.16
Cl 0.8239 0.9153 0.1281  1 Al 2.17
Cl 0.7013 0.2386 0.2833  1 Al 2.16
Cl 0.6766 0.2694 0.9011  1 Al 2.16
Cl 0.3234 0.7694 0.5989  1 Al 2.16
Cl 0.3239 0.5847 0.8719  1 Al 2.17
Cl 0.1459 0.0652 0.3957  1 Al 2.16
Cl 0.6459 0.4348 0.6043  1 Al 2.16
Cl 0.1766 0.2306 0.0989  1 Al 2.16
Cl 0.8541 0.5652 0.1043  1 Al 2.16
Cl 0.1761 0.4153 0.3719  1 Al 2.17
Cl 0.7987 0.7614 0.7833  1 Al 2.16
Cl 0.6761 0.0847 0.6281  1 Al 2.17
Cl 0.2013 0.2614 0.7167  1 Al 2.16
Cl 0.3541 0.9348 0.8957  1 Al 2.16
Cl 0.8234 0.7306 0.4011  1 Al 2.16
Na 0.9342 0.0336 0.8732  5 Cl 2.83-3.11
Na 0.5658 0.9664 0.3732  5 Cl 2.83-3.11
Na 0.4342 0.4664 0.1268  5 Cl 2.83-3.11
Na 0.0658 0.5336 0.6268  5 Cl 2.83-3.11
Al 0.4546 0.7639 0.7874  4 Cl 2.16-2.17
Al 0.9546 0.7361 0.2126  4 Cl 2.16-2.17
Al 0.5454 0.2639 0.7126  4 Cl 2.16-2.17
Al 0.0454 0.2361 0.2874  4 Cl 2.16-2.17

Results
Energy of formation from the pure elements = -2.07 eV per atom
Space group = P2_12_12_1 (19)
V = 668.7 Å³ per cell
Crystal system = orthorhombic

=====

This record from the Materials Project describes an optimized crystal structure of Na4Al6ClO12. The functional is PBE-GGA.

a b c (Å): 8.0046 8.0046 8.0046
angles (deg): 109.47 109.47 109.47
With the nearest neighbours (Å) after each atom.
Positions (direct):
O 0.7212 0.4276 0.4276  2 Al 1.76
O 0.2788 0.7064 0.7064  2 Al 1.76
O 0.5724 0.2936 0.0000  2 Al 1.76
O 0.7064 0.2788 0.7064  2 Al 1.76
O 0.7064 0.7064 0.2788  2 Al 1.76
O 0.2936 0.0000 0.5724  2 Al 1.76
O 0.0000 0.5724 0.2936  2 Al 1.76
O 0.0000 0.2936 0.5724  2 Al 1.76
O 0.5724 0.0000 0.2936  2 Al 1.76
O 0.2936 0.5724 0.0000  2 Al 1.76
O 0.4276 0.4276 0.7212  2 Al 1.76
O 0.4276 0.7212 0.4276  2 Al 1.76
Na 0.0000 0.3503 0.0000  3 O 2.43
Na 0.0000 0.0000 0.3503  3 O 2.43
Na 0.6497 0.6497 0.6497  3 O 2.43
Na 0.3503 0.0000 0.0000  3 O 2.43
Al 0.5000 0.2500 0.7500  4 O 1.76
Al 0.7500 0.2500 0.5000  4 O 1.76
Al 0.7500 0.5000 0.2500  4 O 1.76
Al 0.2500 0.5000 0.7500  4 O 1.76
Al 0.5000 0.7500 0.2500  4 O 1.76
Al 0.2500 0.7500 0.5000  4 O 1.76
Cl 0.0000 0.0000 0.0000  4 Na 2.80

Results
Energy of formation from the pure elements = -2.70 eV per atom
Space group = I-43m (217)
V = 394.8 Å³ per cell
Total magnetic moment = 3.00 μB per formula unit
Crystal system = cubic

* * * * *

(w)
A relaxed LiNi3O4 crystal, computed with r2SCAN. Values from VASP.

```
&SYSTEM
  ibrav = 0, nat = 16, ntyp = 3
/
ATOMIC_SPECIES
Li 6.94 Li.upf
Ni 58.69 Ni.upf
O 16.00 O.upf
ATOMIC_POSITIONS crystal
Li 0.500 0.500 0.500
Li 0.000 0.500 0.500
Ni 0.000 0.500 0.000
Ni 0.500 0.000 0.000
Ni 0.500 0.000 0.500
Ni 0.500 0.500 0.000
Ni 0.000 0.000 0.000
Ni 0.000 0.000 0.500
O 0.274 0.499 0.761
O 0.749 0.501 0.783
O 0.726 0.501 0.239
O 0.251 0.499 0.217
'''
[The piece goes on]

Insufficient or excessive insertion of PE Pipes into the Fittings In case of tight or gaping passage of PE pipes into the
coupler, in coupler-pipe connections, if the connection is tight, the required area to spread the molten portion with pressure is reduced. If there is more space between the pipe and the connection piece than allowed, the heat required for the melting of the pipe cannot be given to the pipe, so the pipe does not melt sufficiently, a welding fault occurs and the strength decreases. After the pipeline is gassed, the internal pressure coming to the welding point causes the weld to break.